-- Material --
<<<
Below is a relaxed structure of TbNi12B6, with properties calculated at the GGA-PBE level.

```
38
Lattice="3.678 -4.774 0.000 3.678 4.774 0.000 0.000 0.000 10.961" Properties=species:S:1:pos:R:3 pbc="T T T"
Ni 3.409 -1.853 10.218
B 6.154 0.000 7.257
Ni 5.993 -1.747 6.168
Ni 5.993 1.747 6.168
Ni 1.364 1.747 0.688
B 3.995 -2.058 6.743
Ni 3.782 3.516 8.159
Ni 3.409 1.853 10.218
Ni 2.525 1.248 7.930
B 3.361 2.058 1.262
B 5.104 -2.804 9.618
Tb 6.130 0.000 0.039
Ni 3.782 -3.516 8.159
Ni 4.832 -1.248 2.450
Tb 1.227 0.000 5.520
Ni 1.601 0.000 9.874
Ni 4.832 1.248 2.450
B 5.104 2.804 9.618
B 3.361 -2.058 1.262
B 2.253 -2.804 4.138
Ni 3.948 1.853 4.737
Ni 3.948 -1.853 4.737
B 3.995 2.058 6.743
B 3.588 0.000 9.260
Ni 3.575 -3.516 2.679
Ni 4.170 0.000 6.375
Ni 2.392 -1.248 2.924
B 1.202 0.000 1.776
Ni 4.965 1.248 8.405
B 3.769 0.000 3.779
Ni 3.575 3.516 2.679
B 2.253 2.804 4.138
Ni 2.392 1.248 2.924
Ni 4.965 -1.248 8.405
Ni 5.756 0.000 4.394
Ni 3.187 0.000 0.894
Ni 1.364 -1.747 0.688
Ni 2.525 -1.248 7.930
```

Output
symmetry: No. 36
E: -243.16 eV per cell
DFT formation energy: -0.40 eV/atom
crystal system: orthorhombic

----------

# 1
Here is YbI2 after structural relaxation from the Materials Project database. Energies are from r2SCAN.

Values from the calculation:
Total magnetic moment: 0.00 μB/cell
Calculated total energy: -29.834 eV/atom

a = 4.083 Å, b = 4.083 Å, c = 7.642 Å
α = 90.00°, β = 90.00°, γ = 120.00°
Positions (direct):
I 0.667 0.333 0.246
I 0.333 0.667 0.754
Yb 0.000 0.000 0.000



# 2
Here is LiGaTe2 after structural relaxation from the Materials Project database. Energies are from r2SCAN.

Values from the calculation:
Total magnetic moment: 0.00 μB/cell
Calculated total energy: -16.917 eV/atom

a = 6.357 Å, b = 6.357 Å, c = 7.441 Å
α = 115.29°, β = 115.29°, γ = 90.00°
Positions (direct):
Te 0.625 0.109 0.750
Li 0.500 0.500 0.000
Ga 0.000 0.000 0.000
Te 0.891 0.875 0.250
Li 0.750 0.250 0.500
Te 0.359 0.375 0.250
Te 0.125 0.641 0.750
Ga 0.250 0.750 0.500



# 3
Here is Lu2MgS4 after structural relaxation from the Materials Project database. Energies are from r2SCAN.

Values from the calculation:
Total magnetic moment: 0.00 μB/cell
Calculated total energy: -18.247 eV/atom

a = 7.729 Å, b = 7.729 Å, c = 7.729 Å
α = 60.00°, β = 60.00°, γ = 60.00°
Positions (direct):
S 0.744 0.744 0.744
S 0.744 0.268 0.744
S 0.256 0.256 0.732
Lu 0.000 0.500 0.500
Mg 0.875 0.875 0.875
S 0.256 0.256 0.256
S 0.744 0.744 0.268
S 0.268 0.744 0.744
Lu 0.500 0.500 0.000
Lu 0.500 0.500 0.500
S 0.256 0.732 0.256
S 0.732 0.256 0.256
Mg 0.125 0.125 0.125
Lu 0.500 0.000 0.500

----------

Li2Mn3VO8: relaxed, GGA+U.

As for the crystal system: orthorhombic. For the calculated density, the calculation gives 3.93 g/cm3. The calculation puts the uncorrected energy at -393.69 eV per cell.

The structure in extended XYZ format:
```
56
Lattice="-3.8007 6.7544 2.6007 -6.3561 -1.4294 -5.5766 -4.1743 -4.6386 5.9467" Properties=species:S:1:pos:R:3 pbc="T T T"
Li -10.3040 -0.3884 -1.2566
Li -7.5726 1.2686 5.0338
Li -8.8218 -2.8962 0.9313
Li -9.2084 -1.9403 4.4862
Li -0.0608 -0.0066 -0.0162
Li -8.6512 2.8035 -0.7737
Li -3.6167 0.1968 0.7501
Li -9.0892 3.7081 2.7282
Mn -8.9734 0.3816 1.8861
Mn -11.4260 1.8034 1.1145
Mn -3.8454 -2.1996 3.3472
Mn -10.9367 0.9346 4.0325
Mn -6.4919 -3.7735 3.5140
Mn -5.8573 -1.6575 5.4510
Mn -6.2666 4.7838 0.9724
Mn -3.7077 3.4801 1.5927
Mn -7.5103 0.7035 -3.2085
Mn -6.3700 1.9342 1.7702
Mn -7.0367 -0.1372 -0.2796
Mn -7.5651 -2.1352 -2.3679
V -6.4177 -0.9604 2.5664
V -11.6370 -1.0405 1.9420
V -4.9769 -0.5789 -2.3722
V -5.6308 3.9526 3.8053
O -7.4286 0.7158 3.0564
O -7.9826 -1.1749 1.3750
O -8.4385 -3.2569 -1.0366
O -10.5076 0.0918 0.7010
O -6.5915 3.0558 5.3278
O -9.9999 1.9230 2.5178
O -5.5442 -2.4294 2.0071
O -4.9409 -0.6947 3.9809
O -10.0621 -0.6199 3.2049
O -12.4529 0.4415 2.5518
O -4.9689 -3.2299 4.6981
O -8.0000 -4.2778 2.2192
O -7.2227 -2.0198 4.0921
O -9.5209 1.2774 5.6287
O -6.6368 -0.0535 6.1475
O -10.8502 -2.7671 1.2553
>>>

-- Activity --
Now write out only the last part of the entries further above, starting with the line that has "3.361 2.058".

-- Done --
B 3.361 2.058 1.262
B 5.104 -2.804 9.618
Tb 6.130 0.000 0.039
Ni 3.782 -3.516 8.159
Ni 4.832 -1.248 2.450
Tb 1.227 0.000 5.520
Ni 1.601 0.000 9.874
Ni 4.832 1.248 2.450
B 5.104 2.804 9.618
B 3.361 -2.058 1.262
B 2.253 -2.804 4.138
Ni 3.948 1.853 4.737
Ni 3.948 -1.853 4.737
B 3.995 2.058 6.743
B 3.588 0.000 9.260
Ni 3.575 -3.516 2.679
Ni 4.170 0.000 6.375
Ni 2.392 -1.248 2.924
B 1.202 0.000 1.776
Ni 4.965 1.248 8.405
B 3.769 0.000 3.779
Ni 3.575 3.516 2.679
B 2.253 2.804 4.138
Ni 2.392 1.248 2.924
Ni 4.965 -1.248 8.405
Ni 5.756 0.000 4.394
Ni 3.187 0.000 0.894
Ni 1.364 -1.747 0.688
Ni 2.525 -1.248 7.930
```

Output
symmetry: No. 36
E: -243.16 eV per cell
DFT formation energy: -0.40 eV/atom
crystal system: orthorhombic

----------

# 1
Here is YbI2 after structural relaxation from the Materials Project database. Energies are from r2SCAN.

Values from the calculation:
Total magnetic moment: 0.00 μB/cell
Calculated total energy: -29.834 eV/atom

a = 4.083 Å, b = 4.083 Å, c = 7.642 Å
α = 90.00°, β = 90.00°, γ = 120.00°
Positions (direct):
I 0.667 0.333 0.246
I 0.333 0.667 0.754
Yb 0.000 0.000 0.000



# 2
Here is LiGaTe2 after structural relaxation from the Materials Project database. Energies are from r2SCAN.

Values from the calculation:
Total magnetic moment: 0.00 μB/cell
Calculated total energy: -16.917 eV/atom

a = 6.357 Å, b = 6.357 Å, c = 7.441 Å
α = 115.29°, β = 115.29°, γ = 90.00°
Positions (direct):
Te 0.625 0.109 0.750
Li 0.500 0.500 0.000
Ga 0.000 0.000 0.000
Te 0.891 0.875 0.250
Li 0.750 0.250 0.500
Te 0.359 0.375 0.250
Te 0.125 0.641 0.750
Ga 0.250 0.750 0.500



# 3
Here is Lu2MgS4 after structural relaxation from the Materials Project database. Energies are from r2SCAN.

Values from the calculation:
Total magnetic moment: 0.00 μB/cell
Calculated total energy: -18.247 eV/atom

a = 7.729 Å, b = 7.729 Å, c = 7.729 Å
α = 60.00°, β = 60.00°, γ = 60.00°
Positions (direct):
S 0.744 0.744 0.744
S 0.744 0.268 0.744
S 0.256 0.256 0.732
Lu 0.000 0.500 0.500
Mg 0.875 0.875 0.875
S 0.256 0.256 0.256
S 0.744 0.744 0.268
S 0.268 0.744 0.744
Lu 0.500 0.500 0.000
Lu 0.500 0.500 0.500
S 0.256 0.732 0.256
S 0.732 0.256 0.256
Mg 0.125 0.125 0.125
Lu 0.500 0.000 0.500

----------

Li2Mn3VO8: relaxed, GGA+U.

As for the crystal system: orthorhombic. For the calculated density, the calculation gives 3.93 g/cm3. The calculation puts the uncorrected energy at -393.69 eV per cell.

The structure in extended XYZ format:
```
56
Lattice="-3.8007 6.7544 2.6007 -6.3561 -1.4294 -5.5766 -4.1743 -4.6386 5.9467" Properties=species:S:1:pos:R:3 pbc="T T T"
Li -10.3040 -0.3884 -1.2566
Li -7.5726 1.2686 5.0338
Li -8.8218 -2.8962 0.9313
Li -9.2084 -1.9403 4.4862
Li -0.0608 -0.0066 -0.0162
Li -8.6512 2.8035 -0.7737
Li -3.6167 0.1968 0.7501
Li -9.0892 3.7081 2.7282
Mn -8.9734 0.3816 1.8861
Mn -11.4260 1.8034 1.1145
Mn -3.8454 -2.1996 3.3472
Mn -10.9367 0.9346 4.0325
Mn -6.4919 -3.7735 3.5140
Mn -5.8573 -1.6575 5.4510
Mn -6.2666 4.7838 0.9724
Mn -3.7077 3.4801 1.5927
Mn -7.5103 0.7035 -3.2085
Mn -6.3700 1.9342 1.7702
Mn -7.0367 -0.1372 -0.2796
Mn -7.5651 -2.1352 -2.3679
V -6.4177 -0.9604 2.5664
V -11.6370 -1.0405 1.9420
V -4.9769 -0.5789 -2.3722
V -5.6308 3.9526 3.8053
O -7.4286 0.7158 3.0564
O -7.9826 -1.1749 1.3750
O -8.4385 -3.2569 -1.0366
O -10.5076 0.0918 0.7010
O -6.5915 3.0558 5.3278
O -9.9999 1.9230 2.5178
O -5.5442 -2.4294 2.0071
O -4.9409 -0.6947 3.9809
O -10.0621 -0.6199 3.2049
O -12.4529 0.4415 2.5518
O -4.9689 -3.2299 4.6981
O -8.0000 -4.2778 2.2192
O -7.2227 -2.0198 4.0921
O -9.5209 1.2774 5.6287
O -6.6368 -0.0535 6.1475
O -10.8502 -2.7671 1.2553